Bulgarian President Plevneliev: Referendum before Belene restart

Bulgarian President Rossen Plevneliev said on October 1 that the country’s MPs should focus on the national referendum on the future of the Belene nuclear power plant rather than negotiations with a prospective group of investors who declared their interest last week.

“As the president and as an engineer, I always seek the reason and ask myself basic questions, such as – we have more than 500 000 valid signatures for a referendum, therefore we must hold a referendum or democracy in Bulgaria will take a hit. We are already practically in the referendum procedure, so why are negotiations being held in Parliament with a last-minute arrival, a fund that is not a strategic investor,” Plevneliev said.

MPs were expected to vote later this week a motion that would give the Cabinet a mandate to discuss the sale of the Belene project to Global Power Consortium (as reported by The Sofia Globe in detail elsewhere). That motion has now been withdrawn.

Opposition socialists, who have made Belene’s restart a key objective in their electoral campaign ahead of next year’s parliamentary polls, have gathered more than 543 000 valid signatures in favour of a national referendum on Belene (the petition had a total 717 000 signatures, but a check showed 24 per cent to be invalid) – more than the half a million needed by law to begin preparations for a plebiscite.

“We must listen to the people and they want a referendum,” Plevneliev said. “I would be very happy if Parliament sped up the referendum procedure instead of starting talks with this uncertain financial and non-strategic investor, formulating the plebiscite question correctly and launching a national debate [on Belene],” Plevneliev said at the opening of the academic year ceremony at the Technical University in Sofia.

== Inserted here: data records ==
<<<
Below is 7 unconnected molecules or ions with the total composition C32H70N2O10S5 at a distorted geometry, with properties calculated with wB97M-V/def2-TZVPD.

Computed properties:
Electronic energy ... -111946.146 eV
Multiplicity ... 1
Relative energy (zero: lowest compared OMol25 entry of this formula, charge and spin) ... 0.0 kcal per mole
HOMO-LUMO gap ... 0.2884 Eh
LUMO ... 0.25 eV
SMILES ... O=S1(=O)CCCC1.O=S1(=O)CCCC1.O=S1(=O)CCCC1.O=S1(=O)CCCC1.O=S1(=O)CCCC1.CCN(CC)CC.CCN(CC)CC

Structure (XYZ):
```
119
Properties=species:S:1:pos:R:3:forces:R:3:mulliken_charge:R:1
H 4.136 1.292 -4.011 -0.224 -0.461 -0.106 0.137
C -6.902 -5.755 -0.400 -1.120 0.986 -0.782 -0.409
H -3.050 2.986 -2.171 0.111 0.478 -0.138 0.132
H -5.584 -3.986 3.404 0.097 0.412 -0.032 0.413
H 0.078 2.206 -0.839 -0.027 0.225 0.084 0.475
H 5.439 -1.105 -1.364 0.351 -0.314 -0.313 0.024
H -7.382 -6.357 0.373 0.747 -0.164 0.300 0.405
H -4.611 -5.073 2.443 -0.378 -0.223 -0.131 0.319
H -1.555 0.769 -1.394 -0.073 -1.006 -0.256 0.300
H 2.416 4.645 -0.480 0.425 -0.135 0.402 0.226
C -1.225 -0.638 6.557 -0.008 -0.294 0.409 -0.732
C 0.096 -0.256 4.558 1.380 -0.299 1.142 -0.239
H 0.147 5.410 1.315 -0.063 -0.324 0.087 0.447
H -3.806 -3.414 0.169 0.155 0.581 0.286 0.476
C 2.051 5.376 0.241 -0.316 -0.452 -0.440 -0.458
C 2.382 6.777 -0.351 -1.020 -0.359 -1.020 -0.661
H -6.402 -3.261 -1.275 -0.361 -0.345 0.065 0.362
H -0.725 0.075 7.222 0.375 0.265 -0.565 0.327
C -4.845 1.965 -1.561 0.707 0.570 -1.052 0.080
H 6.468 1.508 4.003 -0.304 -0.479 0.317 0.402
H -7.765 -5.132 -0.740 0.118 -0.122 -0.026 0.338
H 7.421 -0.014 -1.490 0.028 -0.114 -0.022 0.390
H -7.262 -7.353 -1.805 0.028 -0.048 0.220 0.405
C -6.298 -4.229 1.372 -0.650 -1.311 0.455 -0.488
C 0.551 5.107 0.351 -0.698 1.405 -0.400 0.331
H -5.571 1.198 -5.039 -0.230 0.036 -0.114 0.436
H -5.521 2.488 -0.897 -0.236 -0.528 0.248 0.482
O 2.389 0.987 -0.571 0.052 -0.199 0.388 -0.724
H -4.139 1.284 -1.092 -0.106 0.206 0.526 -0.424
H -4.419 -3.421 2.106 -0.301 0.376 0.480 0.113
H -1.123 -1.181 0.989 0.138 0.101 0.086 0.293
H -4.535 3.997 -2.247 0.219 0.133 0.076 0.320
C -5.581 1.841 -4.170 0.071 0.789 1.399 -0.749
H -5.546 -7.117 -1.415 -0.055 -0.041 0.059 0.333
H 3.092 -1.918 -4.059 0.325 -0.027 -0.080 0.439
H 4.589 -1.172 1.266 0.087 -0.014 -0.141 -0.317
H 0.549 -1.731 6.142 0.307 -0.120 -0.492 0.352
H -1.299 -1.696 -0.678 -0.138 0.079 -0.034 0.350
H 7.053 1.107 -2.746 -0.623 0.027 -0.202 0.311
H 4.978 -0.246 4.112 -0.640 -0.127 -0.122 0.272
C 6.337 0.907 3.100 0.010 1.634 -0.962 -0.729
N -5.875 -4.833 0.104 -0.408 -0.395 -0.035 0.044
C 5.462 -0.419 -2.219 -0.415 0.590 0.906 0.672
H 4.682 -1.224 -5.396 -0.034 0.097 -0.161 0.558
H 3.996 1.070 -5.719 0.310 0.061 -0.240 0.315
H -6.397 -6.050 -2.523 0.078 0.259 0.119 0.312
C -0.167 1.516 -0.045 0.659 -1.527 1.701 -1.126
H -4.107 3.389 -4.667 -0.388 0.376 0.305 0.442
C -2.288 0.056 5.700 0.162 -0.678 0.058 -0.686
H 4.079 -3.435 -2.282 -0.112 -0.157 0.083 0.340
>>>

Just hours later, Prime Minister Boiko Borissov echoed Plevneliev’s words, saying negotiations with the group should be halted in order to hold the plebiscite as soon as possible. Previously, Borissov and his ruling party, GERB, were in favour of postponing the plebiscite so that it can be held alongside the parliamentary elections next summer, in order to save money.

But this could be an opportunity to test the electronic voting system, due to be implemented by spring next year, he said.

Asking the ‘right’ question
Borissov’s Cabinet has been at best a reluctant promoter on Belene – when HSBC, hired to evaluate the costs of financing and construction, estimated the cost at more than 10 billion euro, the Government pulled the plug on the project in March, which prompted harsh criticism from the socialists, the leading partner in the tripartite coalition that signed the Belene deal in 2008.

/*
# 1
DFT (ωB97M-V/def2-TZVPD) results for a cluster of 4 separate species, C24H45ClN2O6 in total at a distorted geometry.

```
78
Properties=species:S:1:pos:R:3:mulliken_charge:R:1
C -0.4082 -1.1845 3.3599 -0.9930
C 0.7439 -0.5319 3.0112 -0.4174
C 0.9022 0.9689 3.1346 -1.3487
C 1.9920 1.6048 2.2572 2.5512
C 2.1888 3.0870 2.6970 -1.3023
O 1.1435 3.6113 3.4839 -0.5403
C 0.0369 4.1122 2.7287 0.8302
C -0.2798 5.5766 3.0616 -0.6044
C -1.7742 5.7579 3.3600 -1.2584
C 1.5891 1.2924 0.7792 1.7606
C 1.8039 2.3379 -0.3394 -1.0881
C 0.4917 2.8636 -0.9421 -0.6077
C -0.4227 1.7595 -1.4778 -0.6898
C -1.5396 1.2756 -0.5353 -0.8002
N -1.9885 2.2920 0.4317 -0.3846
C 2.4697 0.0935 0.4133 -0.8081
O 2.4061 -0.5771 -0.5955 -0.6503
N 3.3613 -0.1745 1.4534 -0.1310
C 3.4039 0.9743 2.3186 -0.1197
O 3.7295 0.5451 3.6004 -0.5167
Cl 4.7242 2.0333 1.5912 -0.1780
H -0.9243 -1.7823 2.6154 0.2313
H -0.7706 -1.1435 4.3841 0.2938
H 1.5452 -1.1511 2.6188 0.4213
H 0.9958 1.2482 4.1905 0.7125
H -0.0368 1.3931 2.7958 0.0978
H 2.4186 3.7582 1.8694 0.3994
H 3.0562 3.1060 3.3570 0.4097
H 0.2361 3.9586 1.6700 -0.5321
H -0.8341 3.5054 2.9816 0.1103
H 0.2834 5.9013 3.9336 0.3180
H 0.0089 6.1898 2.2084 0.3072
H -1.9033 6.6678 3.9467 0.4089
H -2.1677 4.9453 3.9694 0.3721
H -2.3725 5.8314 2.4539 0.2692
H 0.5972 0.8559 0.6972 -0.6712
H 2.3408 1.8471 -1.1515 0.5096
H 2.4230 3.1830 -0.0429 0.2926
H 0.0043 3.5318 -0.2367 0.0978
H 0.7807 3.4867 -1.7922 0.4292
H 0.1348 0.8853 -1.8172 0.2184
H -0.9163 2.1507 -2.3690 0.4795
H -2.3866 1.0046 -1.1716 0.5039
H -1.2763 0.3727 0.0170 0.2702
H -2.7775 1.9238 0.9486 0.2448
H -2.3521 3.0971 -0.0668 0.2140
H 4.2720 -0.5030 1.1643 0.4446
H 4.4567 1.0626 3.9573 0.4419
C -2.8689 -3.0494 -1.5086 -1.2238
C -2.3679 -2.1184 -2.5823 1.0888
O -2.9148 -1.0621 -2.8097 -0.6058
C -1.1565 -2.5642 -3.3592 -1.2179
H -3.7434 -2.6104 -1.0314 0.2558
H -3.1499 -4.0040 -1.9557 0.3433
H -2.0974 -3.2105 -0.7533 0.3798
H -1.3711 -3.5037 -3.8708 0.3830
H -0.3089 -2.7024 -2.6854 0.2832
H -0.9015 -1.8072 -4.0977 0.3125
C 6.2072 -4.8224 -0.1278 -1.1250
C 4.9059 -4.5007 -0.8261 0.6980
O 4.3005 -5.3411 -1.4473 -0.5531
C 4.3995 -3.0832 -0.7104 -0.6852
H 6.4557 -5.8688 -0.2895 0.3151
H 7.0099 -4.2010 -0.5280 0.3186
H 6.1110 -4.6420 0.9441 0.3086
H 5.1280 -2.3906 -1.1366 0.3459
H 4.2271 -2.8344 0.3381 0.1465
H 3.4632 -2.9823 -1.2505 0.2247
C -6.5172 -3.7061 -3.3122 -1.1588
C -5.5159 -3.8399 -4.4331 0.9125
O -4.4351 -4.3517 -4.2569 -0.5426
C -5.9241 -3.3041 -5.7827 -1.1784
H -6.0994 -4.1283 -2.4010 0.2675
H -6.7476 -2.6533 -3.1424 0.3206
H -7.4341 -4.2415 -3.5636 0.3987
H -6.1309 -2.2353 -5.7122 0.3235
H -6.8162 -3.8229 -6.1369 0.3566
H -5.1166 -3.4623 -6.4936 0.3087
```

Values from the calculation:
**Structure (SMILES)**: C=CC[C@]1(COCCC)[C@@H](CCCCN)C(=O)N[C@@]1(O)Cl.CC(C)=O.CC(C)=O.CC(C)=O
**Gap between HOMO and LUMO**: 8.452 eV
**2S+1**: 1

***

# 2
DFT (ωB97M-V/def2-TZVPD) results for a structure of composition C24H45ClO4P2Ru at a distorted geometry.

```
77
*/

A final contract was never signed as neither the current government, nor its predecessor, reached agreement with contractor Atomstroyexport on the inflation escalation clauses before the project was shut down.

The socialists want Belene to be built, with the Bulgarian state taking a lead and maintaining a majority stake in the future plant; Finance Minister Simeon Dyankov, who has repeatedly stated his opposition to any sort of state guarantees for Belene, and his fellow Cabinet members see the only possible future for Belene as a private project.

Parliament cannot ignore the plebiscite petition, but it can amend the wording of the referendum question. The one suggested by the socialists is a straightforward “Should nuclear energy be developed in Bulgaria through the construction of a nuclear plant at Belene”.

[Molecular data from another source follow]
(1)
DFT (ωB97M-V with the def2-TZVPD basis set) results for a cluster of 2 separate species, C6H16S in total in a non-equilibrium geometry.

Cartesian coordinates (Å):
H: -1.442 -2.287 -2.535
H: 1.443 2.110 -0.437
S: -0.982 -3.409 -1.969
C: 0.756 -2.449 0.068
H: 1.592 2.201 1.309
H: -0.308 1.922 2.785
C: 1.221 1.584 0.488
H: 1.301 -1.505 0.185
H: -0.479 1.593 -1.474
H: -1.915 1.867 1.996
C: -1.117 1.542 -0.597
C: -0.278 1.255 0.664
H: -1.835 0.746 -0.759
H: 1.831 0.685 0.537
H: 1.209 -3.250 0.649
H: 0.863 -1.919 -2.079
H: -0.220 -2.282 0.526
C: -0.850 2.067 1.843
H: -0.785 3.129 1.588
H: 1.345 -3.536 -1.753
H: -0.377 0.194 0.908
H: -1.630 2.497 -0.530
C: 0.660 -2.755 -1.413

**Relative energy (zero: lowest compared OMol25 entry of this formula, charge and spin)**: 10.49 kcal/mol
**Frontier orbital gap**: 9.92 eV
**SMILES**: CC(C)C.CCS
**Highest occupied orbital energy**: -9.051 eV

---

(2)
DFT (ωB97M-V with the def2-TZVPD basis set) results for a cluster of 2 separate species, C6H16S in total in a non-equilibrium geometry.

Cartesian coordinates (Å):
H: -3.178 0.817 -1.326
H: 0.364 -0.651 -1.695
H: 3.372 -0.721 -1.496
H: -1.021 2.444 -0.603
H: -2.264 2.584 0.746
C: -3.000 0.228 -0.423
H: -0.685 2.146 1.247
C: 2.418 -1.081 -1.062
H: -0.920 0.037 -0.360
H: 1.104 0.678 -0.803
C: -1.678 0.597 0.241
C: 1.297 -0.121 -1.504
S: 2.922 -0.744 0.704
H: 1.598 0.185 -2.510
H: 2.320 -2.068 -1.519
C: 1.920 -1.561 2.023
H: -1.686 0.247 1.291
H: 0.845 -1.399 1.904
H: -3.066 -0.851 -0.550
C: -1.342 2.108 0.381
H: -3.808 0.595 0.214
H: 2.197 -0.916 2.862
H: 2.291 -2.552 2.241

**Relative energy (zero: lowest compared OMol25 entry of this formula, charge and spin)**: 29.84 kcal/mol
**Frontier orbital gap**: 9.44 eV
**SMILES**: CCSC.CCC
**Highest occupied orbital energy**: -8.509 eV

---

(3)
DFT (ωB97M-V with the def2-TZVPD basis set) results for a cluster of 2 separate species, C6H16S2 in total in a non-equilibrium geometry.

Cartesian coordinates (Å):
C: -0.204 -0.346 3.053
H: -0.884 -1.849 -1.610
C: -1.374 0.934 1.222
H: 1.582 1.993 -0.541
H: -0.435 0.404 3.837
H: -0.175 -1.339 3.566
H: 3.167 1.327 -0.677
C: 2.175 1.408 -1.203
H: -1.534 1.746 1.956
H: -1.080 -1.826 -3.401
H: -0.442 1.219 0.712
C: -1.221 -0.402 1.932
H: 0.806 -0.191 2.621
H: 1.211 -0.399 -0.561
H: 2.228 2.047 -2.112
S: 0.184 0.090 -2.701
H: 0.538 -2.221 -2.744
H: -0.911 -1.150 1.182
C: 1.570 0.040 -1.522
S: -2.831 1.026 0.120
H: 2.303 -0.610 -1.996
H: -2.185 -0.684 2.347
C: -0.365 -1.633 -2.589
H: -2.122 0.414 -0.887

**Relative energy (zero: lowest compared OMol25 entry of this formula, charge and spin)**: 13.03 kcal/mol
**Frontier orbital gap**: 9.51 eV
**SMILES**: CCCS.CCSC
**Highest occupied orbital energy**: -8.635 eV

---

(4)
DFT (ωB97M-V with the def2-TZVPD basis set) results for a structure of composition C6H17B2FNO7Tl in a non-equilibrium geometry.

Cartesian coordinates (Å):
O: 3.135 -2.961 0.973
O: -3.656 2.974 -1.246
C: 1.138 3.213 -2.930
C: -2.884 1.079 -2.449
[Back to the entry]

The Cabinet and the parliamentary majority backing it favoured a more nuanced formula. Plevneliev – a former minister in the current Cabinet elected to the presidency on GERB’s ticket, but not a formal member of the party – argued the same case.

“It is very important how the question is asked, because the way it is formulated right now, it is misleading,” he said. “We should not hold a referendum for an individual project, but we can hold a referendum on the principle. Members of Parliament have the right and should, during their debate, formulate the right question.”

A right question, he said, would be asking whether Bulgaria should build new reactors or asking whether new reactors should be built at Belene or Kozloduy (the latter is the site of Bulgaria’s sole currently operational power plant).

This wider reach would negate the thrust of the socialist argument – building Belene – since the Cabinet already plans to use the equipment ordered for Belene to build a new unit at Kozloduy, and has already hired US firm Westinghouse to carry out a feasibility study.

Belene would benefit a tight group of electricity resellers, whereas investment in energy efficiency would be felt by millions of Bulgarians, Plevneliev said, re-iterating one of his declared priorities in the energy sector.

“Is it worth wasting 20 billion leva on a poorly-structured and expensive Belene project and leaving Bulgarians to live in their pre-fab buildings with high electricity bills? Electricity will become ever more expensive everywhere in the world and electricity produced at Belene will be even more expensive. Or should we start a national energy efficiency programme for those same pre-fab buildings and make Bulgarians richer by reducing their electricity bills in half?” Plevneliev said.

(Belene nuclear plant site, screengrab from Bulgarian National Television.)



Alex Bivol

Alex Bivol is the Deputy Editor-in-Chief of The Sofia Globe.